The reader should find the line further down that holds "0.613", then echo that line and all lines after it there.

- - -
No. 1
Here is 6 unconnected molecules or ions with the total composition C38H84N8O6 from OMol25. Energies are from the ωB97M-V functional and the def2-TZVPD basis.

* total charge: 0
* SMILES string: CC1(C)CCCC(C)(C)N1O.CC1(C)CCCC(C)(C)N1O.CC1(C)CCCC(C)(C)N1O.CC1(C)CCCC(C)(C)N1O.NC(N)=O.NC(N)=O
* multiplicity: 1

Cartesian coordinates (Å):
C: -2.480 -0.369 3.340
C: -3.928 -0.552 2.824
C: -4.534 0.861 3.153
C: -5.912 1.084 2.508
C: -5.684 1.002 1.026
C: -5.107 -0.410 0.518
N: -3.930 -0.643 1.349
O: -3.192 -1.765 0.903
C: -6.161 -1.464 0.760
C: -4.803 -0.228 -0.954
C: -4.562 -1.757 3.575
H: -2.057 0.564 2.969
H: -1.754 -1.106 2.995
H: -2.381 -0.471 4.421
H: -4.673 0.908 4.233
H: -3.836 1.689 3.035
H: -6.337 2.056 2.757
H: -6.586 0.315 2.886
H: -4.919 1.758 0.850
H: -6.562 1.305 0.456
H: -6.803 -1.339 -0.112
H: -5.682 -2.433 0.613
H: -6.759 -1.295 1.656
H: -4.472 -1.115 -1.494
H: -5.718 0.099 -1.447
H: -4.058 0.547 -1.135
H: -5.641 -1.910 3.603
H: -4.432 -1.748 4.657
H: -4.097 -2.709 3.320
H: -2.549 -1.435 0.271
C: 4.229 -5.757 1.956
C: 3.536 -4.446 1.802
C: 3.792 -4.020 0.302
C: 2.974 -2.854 -0.057
C: 1.521 -3.332 0.045
C: 1.102 -3.705 1.480
N: 2.067 -4.667 2.076
O: 1.796 -5.270 3.386
C: 0.885 -2.391 2.225
C: -0.271 -4.396 1.433
C: 4.238 -3.466 2.762
H: 3.690 -6.450 1.310
H: 4.077 -6.138 2.966
H: 5.294 -5.579 1.803
H: 4.822 -3.709 0.124
H: 3.707 -4.895 -0.343
H: 3.039 -2.516 -1.092
H: 3.230 -1.917 0.436
H: 1.353 -4.186 -0.611
H: 0.841 -2.529 -0.239
H: 0.987 -2.306 3.307
H: 1.685 -1.667 2.071
H: -0.034 -1.900 1.905
H: -0.533 -4.646 2.461
H: -1.026 -3.729 1.017
H: -0.338 -5.350 0.908
H: 3.623 -2.610 3.040
H: 5.153 -3.066 2.324
H: 4.523 -3.805 3.758
H: 1.870 -4.531 3.994
C: 2.393 1.015 3.747
C: 3.117 2.214 4.412
C: 4.615 1.867 4.699
C: 5.419 1.756 3.420
C: 5.350 3.098 2.658
C: 3.925 3.645 2.383
N: 3.005 3.444 3.541
O: 1.665 3.920 3.354
C: 4.142 5.203 2.156
C: 3.370 2.880 1.172
C: 2.437 2.427 5.782
H: 1.376 1.349 3.541
H: 2.299 0.245 4.513
H: 2.894 0.586 2.880
H: 5.143 2.405 5.486
H: 4.680 0.922 5.237
H: 5.169 0.973 2.705
H: 6.434 1.440 3.661
H: 5.722 2.856 1.662
H: 5.855 3.868 3.241
H: 3.151 5.641 2.041
H: 4.435 5.678 3.093
H: 4.797 5.414 1.311
H: 2.480 3.431 0.872
H: 4.011 3.067 0.310
H: 3.271 1.798 1.269
H: 1.371 2.559 5.600
H: 2.946 3.332 6.117
H: 2.556 1.616 6.499
H: 1.404 3.616 2.482
C: -3.384 -0.045 -3.899
C: -2.504 -0.719 -4.954
C: -3.368 -0.895 -6.219
C: -3.576 0.470 -7.000
C: -2.179 1.064 -7.287
C: -1.244 1.199 -6.078
N: -1.246 -0.087 -5.352
O: -0.259 -0.141 -4.447
C: 0.213 1.503 -6.615
C: -1.639 2.373 -5.237
C: -2.288 -2.219 -4.509
H: -2.816 0.257 -3.018
H: -4.167 -0.747 -3.614
H: -3.928 0.845 -4.215
H: -2.954 -1.510 -7.018
H: -4.348 -1.295 -5.958
H: -4.049 1.223 -6.369
H: -4.193 0.272 -7.875
H: -2.423 2.055 -7.671
H: -1.657 0.470 -8.038
H: 0.633 0.697 -7.216
H: 0.266 2.335 -7.317
H: 0.934 1.606 -5.804
H: -1.425 3.254 -5.841
H: -2.665 2.495 -4.891
H: -1.026 2.465 -4.340
H: -1.642 -2.678 -5.257
H: -3.215 -2.790 -4.539
H: -1.838 -2.338 -3.523
H: 0.390 -0.708 -4.869
C: -0.323 0.445 -0.608
O: -1.215 -0.273 -0.127
N: 0.805 0.626 -0.061
N: -0.291 1.005 -1.697
H: 0.749 -0.061 0.677
H: 1.602 0.983 -0.569
H: -0.971 0.814 -2.420
H: 0.556 1.538 -1.837
C: 2.374 3.435 -2.715
O: 2.373 2.432 -1.964
N: 3.208 4.417 -2.519
N: 1.560 3.580 -3.800
H: 3.962 4.365 -1.849
H: 3.136 5.042 -3.309
H: 0.963 2.818 -4.088
H: 1.456 4.549 -4.068

No. 2
Here is 11 unconnected molecules or ions with the total composition C38H85N3O28P6S2 from OMol25. Energies are from the ωB97M-V functional and the def2-TZVPD basis.

* total charge: 0
* SMILES string: COP(=O)(OC)OC.COP(=O)(OC)OC.COP(=O)(OC)OC.COP(=O)(OC)OC.COP(=O)(OC)OC.COP(=O)(OC)OC.O=S1(=O)CCCC1.O=S1(=O)CCCC1.c1cc[nH]c1.c1cc[nH]c1.c1cc[nH]c1
* multiplicity: 1

Cartesian coordinates (Å):
C: -0.527 3.560 -7.267
C: -1.397 4.508 -8.062
C: -2.699 3.796 -8.312
S: -2.408 1.976 -8.358
O: -2.301 1.631 -9.774
O: -3.438 1.408 -7.495
C: -0.657 2.083 -7.658
H: -0.588 3.573 -6.178
H: 0.529 3.771 -7.434
- - -

H: -5.682 -2.433 0.613
H: -6.759 -1.295 1.656
H: -4.472 -1.115 -1.494
H: -5.718 0.099 -1.447
H: -4.058 0.547 -1.135
H: -5.641 -1.910 3.603
H: -4.432 -1.748 4.657
H: -4.097 -2.709 3.320
H: -2.549 -1.435 0.271
C: 4.229 -5.757 1.956
C: 3.536 -4.446 1.802
C: 3.792 -4.020 0.302
C: 2.974 -2.854 -0.057
C: 1.521 -3.332 0.045
C: 1.102 -3.705 1.480
N: 2.067 -4.667 2.076
O: 1.796 -5.270 3.386
C: 0.885 -2.391 2.225
C: -0.271 -4.396 1.433
C: 4.238 -3.466 2.762
H: 3.690 -6.450 1.310
H: 4.077 -6.138 2.966
H: 5.294 -5.579 1.803
H: 4.822 -3.709 0.124
H: 3.707 -4.895 -0.343
H: 3.039 -2.516 -1.092
H: 3.230 -1.917 0.436
H: 1.353 -4.186 -0.611
H: 0.841 -2.529 -0.239
H: 0.987 -2.306 3.307
H: 1.685 -1.667 2.071
H: -0.034 -1.900 1.905
H: -0.533 -4.646 2.461
H: -1.026 -3.729 1.017
H: -0.338 -5.350 0.908
H: 3.623 -2.610 3.040
H: 5.153 -3.066 2.324
H: 4.523 -3.805 3.758
H: 1.870 -4.531 3.994
C: 2.393 1.015 3.747
C: 3.117 2.214 4.412
C: 4.615 1.867 4.699
C: 5.419 1.756 3.420
C: 5.350 3.098 2.658
C: 3.925 3.645 2.383
N: 3.005 3.444 3.541
O: 1.665 3.920 3.354
C: 4.142 5.203 2.156
C: 3.370 2.880 1.172
C: 2.437 2.427 5.782
H: 1.376 1.349 3.541
H: 2.299 0.245 4.513
H: 2.894 0.586 2.880
H: 5.143 2.405 5.486
H: 4.680 0.922 5.237
H: 5.169 0.973 2.705
H: 6.434 1.440 3.661
H: 5.722 2.856 1.662
H: 5.855 3.868 3.241
H: 3.151 5.641 2.041
H: 4.435 5.678 3.093
H: 4.797 5.414 1.311
H: 2.480 3.431 0.872
H: 4.011 3.067 0.310
H: 3.271 1.798 1.269
H: 1.371 2.559 5.600
H: 2.946 3.332 6.117
H: 2.556 1.616 6.499
H: 1.404 3.616 2.482
C: -3.384 -0.045 -3.899
C: -2.504 -0.719 -4.954
C: -3.368 -0.895 -6.219
C: -3.576 0.470 -7.000
C: -2.179 1.064 -7.287
C: -1.244 1.199 -6.078
N: -1.246 -0.087 -5.352
O: -0.259 -0.141 -4.447
C: 0.213 1.503 -6.615
C: -1.639 2.373 -5.237
C: -2.288 -2.219 -4.509
H: -2.816 0.257 -3.018
H: -4.167 -0.747 -3.614
H: -3.928 0.845 -4.215
H: -2.954 -1.510 -7.018
H: -4.348 -1.295 -5.958
H: -4.049 1.223 -6.369
H: -4.193 0.272 -7.875
H: -2.423 2.055 -7.671
H: -1.657 0.470 -8.038
H: 0.633 0.697 -7.216
H: 0.266 2.335 -7.317
H: 0.934 1.606 -5.804
H: -1.425 3.254 -5.841
H: -2.665 2.495 -4.891
H: -1.026 2.465 -4.340
H: -1.642 -2.678 -5.257
H: -3.215 -2.790 -4.539
H: -1.838 -2.338 -3.523
H: 0.390 -0.708 -4.869
C: -0.323 0.445 -0.608
O: -1.215 -0.273 -0.127
N: 0.805 0.626 -0.061
N: -0.291 1.005 -1.697
H: 0.749 -0.061 0.677
H: 1.602 0.983 -0.569
H: -0.971 0.814 -2.420
H: 0.556 1.538 -1.837
C: 2.374 3.435 -2.715
O: 2.373 2.432 -1.964
N: 3.208 4.417 -2.519
N: 1.560 3.580 -3.800
H: 3.962 4.365 -1.849
H: 3.136 5.042 -3.309
H: 0.963 2.818 -4.088
H: 1.456 4.549 -4.068

No. 2
Here is 11 unconnected molecules or ions with the total composition C38H85N3O28P6S2 from OMol25. Energies are from the ωB97M-V functional and the def2-TZVPD basis.

* total charge: 0
* SMILES string: COP(=O)(OC)OC.COP(=O)(OC)OC.COP(=O)(OC)OC.COP(=O)(OC)OC.COP(=O)(OC)OC.COP(=O)(OC)OC.O=S1(=O)CCCC1.O=S1(=O)CCCC1.c1cc[nH]c1.c1cc[nH]c1.c1cc[nH]c1
* multiplicity: 1

Cartesian coordinates (Å):
C: -0.527 3.560 -7.267
C: -1.397 4.508 -8.062
C: -2.699 3.796 -8.312
S: -2.408 1.976 -8.358
O: -2.301 1.631 -9.774
O: -3.438 1.408 -7.495
C: -0.657 2.083 -7.658
H: -0.588 3.573 -6.178
H: 0.529 3.771 -7.434